About 95 percent of Vietnam’spopulation engage in religious or belief-related practices. Sixteen religions with43 relevant organisations have been recognised and licensed by the State. Theygather over 27 million followers (about 28 percent of the population) and havenearly 30,000 places of worship.
Amid the strong developmentof the “digital life”, religious activities on the cyberspace are a sensitiveissue that reactionary and sabotage forces have continually taken advantage ofto drive a wedge in the great national unity and between the Party and thepeople.
Many activities on the internethave made use of religions or beliefs to distort the doctrines of orthodoxreligions and propagandise heresies and information running counter to goodtraditional customs. Such activities involve not only people living in the country but also those abroad, including hostile and reactionary elements as well as saboteurs.
By creating the crowd effector scandals to attract public attention, they have spread misinformation aboutorthodox religions, driven a wedge to the national solidarity, and defamed theParty, the State, and the religious policy of Vietnam. In particular, they havefrequently fabricated allegation on the administration’s discrimination against andsuppression of religions so as to sow divisions in Vietnam and undermine thecountry’s prestige in the international arena. They have also colluded withsome foreign individuals and organisations to slander the freedom of religionin Vietnam.
Suggesting some solutions toimprove the management of religious and belief-related activities on cyberspace,Dr Bui Van Huan from the School of Politics of Bac Giang province said first of all,it is necessary to increase communications in appropriate forms to help usersof social networks realise the plots and ruses used by hostile forces and notfollow heresies or take part in illegal religious organisations. Religiousdignitaries should play a more active role in fighting the abuse ofreligions and beliefs to disseminate wrongful viewpoints and information.
Second, state agencies should step up fine-tuning legal documents on religious and belief-relatedactivities on cyberspace and effectively enforcing them.
**Calculated crystals from another source follow:**
'''
# UTe (PBE, relaxed)
data_UTe
_space_group_name_H-M_alt 'P 1'
_space_group_IT_number 1
_cell_length_a 6.159
_cell_length_b 6.159
_cell_length_c 6.159
_cell_angle_alpha 90.00
_cell_angle_beta 90.00
_cell_angle_gamma 90.00
loop_
_space_group_symop_operation_xyz
'x,y,z'
loop_
_atom_site_label
_atom_site_type_symbol
_atom_site_fract_x
_atom_site_fract_y
_atom_site_fract_z
U1 U 0.000 0.000 0.000
U2 U 0.000 0.500 0.500
U3 U 0.500 0.000 0.500
U4 U 0.500 0.500 0.000
Te1 Te 0.000 0.000 0.500
Te2 Te 0.000 0.500 0.000
Te3 Te 0.500 0.000 0.000
Te4 Te 0.500 0.500 0.500
# Space group: Fm-3m
# Total energy after the MP2020 corrections: -15.7 eV/f.u.
# E_form: -0.631 eV per atom
# Uncorrected energy: -7.64 eV per atom
# Crystal system: cubic


# Zr4Co7Ge6 (PBE, relaxed)
data_Zr4Co7Ge6
_space_group_name_H-M_alt 'P 1'
_space_group_IT_number 1
_cell_length_a 6.840
_cell_length_b 6.840
_cell_length_c 6.840
_cell_angle_alpha 109.47
_cell_angle_beta 109.47
_cell_angle_gamma 109.47
loop_
_space_group_symop_operation_xyz
'x,y,z'
loop_
_atom_site_label
_atom_site_type_symbol
_atom_site_fract_x
_atom_site_fract_y
_atom_site_fract_z
Zr1 Zr 0.000 0.000 0.500
Zr2 Zr 0.000 0.500 0.000
Zr3 Zr 0.500 0.000 0.000
Zr4 Zr 0.500 0.500 0.500
Co1 Co 0.000 0.000 0.000
Co2 Co 0.250 0.500 0.750
Co3 Co 0.250 0.750 0.500
Co4 Co 0.500 0.250 0.750
Co5 Co 0.500 0.750 0.250
Co6 Co 0.750 0.250 0.500
Co7 Co 0.750 0.500 0.250
Ge1 Ge 0.000 0.319 0.319
Ge2 Ge 0.000 0.681 0.681
Ge3 Ge 0.319 0.000 0.319
Ge4 Ge 0.319 0.319 0.000
Ge5 Ge 0.681 0.000 0.681
Ge6 Ge 0.681 0.681 0.000
# Space group: Im-3m
# E_form: -0.603 eV per atom
# Uncorrected energy: -7.17 eV per atom
# Crystal system: cubic


# Ti2H2O3 (PBE, relaxed)
data_Ti2H2O3
_space_group_name_H-M_alt 'P 1'
_space_group_IT_number 1
_cell_length_a 3.115
_cell_length_b 3.115
_cell_length_c 8.670
_cell_angle_alpha 90.00
_cell_angle_beta 90.00
_cell_angle_gamma 120.00
loop_
_space_group_symop_operation_xyz
'x,y,z'
loop_
_atom_site_label
_atom_site_type_symbol
_atom_site_fract_x
_atom_site_fract_y
_atom_site_fract_z
Ti1 Ti 0.333 0.667 0.125
Ti2 Ti 0.667 0.333 0.875
H1 H 0.333 0.667 0.625
H2 H 0.667 0.333 0.375
O1 O 0.000 0.000 0.000
O2 O 0.333 0.667 0.740
O3 O 0.667 0.333 0.260
# Space group: P-3m1
# Total energy after the MP2020 corrections: -51.6 eV/f.u.
# E_form: -2.028 eV per atom
# Uncorrected energy: -7.08 eV per atom
# Crystal system: trigonal


# TiAs3 (PBE, relaxed)
data_TiAs3
_space_group_name_H-M_alt 'P 1'
_space_group_IT_number 1
_cell_length_a 5.880
_cell_length_b 5.880
_cell_length_c 4.925
_cell_angle_alpha 90.00
_cell_angle_beta 90.00
_cell_angle_gamma 120.00
loop_
_space_group_symop_operation_xyz
'x,y,z'
loop_
_atom_site_label
_atom_site_type_symbol
_atom_site_fract_x
_atom_site_fract_y
_atom_site_fract_z
Ti1 Ti 0.333 0.667 0.250
Ti2 Ti 0.667 0.333 0.750
As1 As 0.184 0.368 0.750
As2 As 0.184 0.816 0.750
As3 As 0.368 0.184 0.250
As4 As 0.632 0.816 0.750
As5 As 0.816 0.184 0.250
As6 As 0.816 0.632 0.250
# Space group: P6_3/mmc
'''
**So much for the calculated crystals:**
Third, it is important to activelyprevent and effectively deal with illegal religious activities on the internetwhile increasing measures to prevent plots and actions abusing religions orbeliefs to sabotage the Party, State, and regime or taking advantage of thefreedom of speech to sow divisions on the internet.
**These records of crystals were left in the piece by mistake**
┌──
<P>
The following is a DFT calculation (PBE with a Hubbard U) of a relaxed Gd2W3O12 crystal.

Results
* total magnetic moment: 0.1 μB per formula unit

Lattice parameters (Å, degrees): 10.586 10.610 10.871 90.00 90.00 90.00
Fractional positions:
1 Gd 0.006 0.811 0.263
2 Gd 0.189 0.496 0.738
3 Gd 0.311 0.996 0.738
4 Gd 0.494 0.311 0.263
5 Gd 0.506 0.689 0.263
6 Gd 0.689 0.004 0.738
7 Gd 0.811 0.504 0.738
8 Gd 0.994 0.189 0.263
9 W 0.003 0.206 0.643
10 W 0.206 0.488 0.357
11 W 0.243 0.244 0.000
12 W 0.257 0.744 0.000
13 W 0.294 0.988 0.357
14 W 0.497 0.706 0.643
15 W 0.503 0.294 0.643
16 W 0.706 0.012 0.357
17 W 0.743 0.256 0.000
18 W 0.757 0.756 0.000
19 W 0.794 0.512 0.357
20 W 0.997 0.794 0.643
21 O 0.007 0.627 0.691
22 O 0.021 0.806 0.479
23 O 0.113 0.616 0.292
24 O 0.118 0.885 0.720
25 O 0.123 0.170 0.095
26 O 0.128 0.006 0.311
27 O 0.143 0.820 0.100
28 O 0.155 0.335 0.305
29 O 0.160 0.154 0.682
30 O 0.169 0.359 0.900
31 O 0.182 0.625 0.906
32 O 0.193 0.489 0.523
33 O 0.307 0.989 0.523
34 O 0.318 0.125 0.906
35 O 0.331 0.859 0.900
36 O 0.340 0.654 0.682
37 O 0.345 0.835 0.305
38 O 0.357 0.320 0.100
39 O 0.372 0.506 0.311
40 O 0.377 0.670 0.095
41 O 0.382 0.385 0.720
42 O 0.387 0.116 0.292
43 O 0.479 0.306 0.479
44 O 0.493 0.127 0.691
45 O 0.507 0.873 0.691
46 O 0.521 0.694 0.479
47 O 0.613 0.884 0.292
48 O 0.618 0.615 0.720
49 O 0.623 0.330 0.095
50 O 0.628 0.494 0.311
51 O 0.643 0.680 0.100
52 O 0.655 0.165 0.305
53 O 0.660 0.346 0.682
54 O 0.669 0.141 0.900
55 O 0.682 0.875 0.906
56 O 0.693 0.011 0.523
57 O 0.807 0.511 0.523
58 O 0.818 0.375 0.906
59 O 0.831 0.641 0.900
60 O 0.840 0.846 0.682
61 O 0.845 0.665 0.305
62 O 0.857 0.180 0.100
63 O 0.872 0.994 0.311
64 O 0.877 0.830 0.095
65 O 0.882 0.115 0.720
66 O 0.887 0.384 0.292
67 O 0.979 0.194 0.479
68 O 0.993 0.373 0.691

***

<Q>
The following is a DFT calculation (PBE with a Hubbard U) of a relaxed Gd2W3O12 crystal.

Results
* total magnetic moment: 14.0 μB per formula unit

Lattice parameters (Å, degrees): 7.005 7.005 11.537 79.16 79.16 112.22
Fractional positions:
1 Gd 0.693 0.948 0.595
2 Gd 0.948 0.693 0.095
3 Gd 0.052 0.307 0.905
4 Gd 0.307 0.052 0.405
5 W 0.509 0.797 0.952
6 W 0.797 0.509 0.452
7 W 0.118 0.882 0.750
8 W 0.882 0.118 0.250
9 W 0.203 0.491 0.548
10 W 0.491 0.203 0.048
11 O 0.649 0.796 0.802
12 O 0.405 0.988 0.720
13 O 0.026 0.947 0.892
14 O 0.673 0.606 0.561
15 O 0.222 0.622 0.962
16 O 0.898 0.324 0.576
17 O 0.796 0.649 0.302
18 O 0.676 0.102 0.924
19 O 0.378 0.778 0.538
20 O 0.394 0.327 0.939
21 O 0.053 0.974 0.608
22 O 0.988 0.405 0.220
23 O 0.012 0.595 0.780
24 O 0.947 0.026 0.392
25 O 0.606 0.673 0.061
26 O 0.622 0.222 0.462
27 O 0.324 0.898 0.076
28 O 0.204 0.351 0.698
29 O 0.102 0.676 0.424
30 O 0.778 0.378 0.038
31 O 0.327 0.394 0.439
32 O 0.974 0.053 0.108
33 O 0.595 0.012 0.280
34 O 0.351 0.204 0.198

***

Energy above the most stable structure, in meV/atom: <P> 617; <Q> 0

***

<P>
└──
Fourth, it is also necessary tobring into play the role of the Episcopal Council of Vietnam and the Executive Councilof the Vietnam Buddhist Sangha to rectify wrong practices on cyberspace;maintain dialogue about the Catholic situation in Vietnam with the HolySee; keep regular contact with the US Ambassador and the Ambassador and head ofthe EU Delegation to Vietnam to exchange information about the enforcement oflaws on religions and beliefs in the country; and provide official informationto serve the combat against hostile forces slandering the democracy, humanrights, and religious freedom in Vietnam, according to Huan./.